Stats - Dragon
Stats - Dragon
Stats - Dragon
Stats - Dragon
Stats - Dragon
Stats - Dragon

**Crystal structures that have nothing to do with the article**
********
First-principles (PBE+U) data for a relaxed Co2OF3 crystal, as listed in Materials Project.

Cell lengths 15.9012, 6.8079, 6.4143 Å; angles 90.00, 90.00, 90.00 degrees
Closest atoms and distances in Å follow each position.
Space group Amm2 (No. 38)
Inequivalent atoms, fractional coordinates:
Co  0.0000  0.0000  0.0000 x2  2 O 1.99, 4 F 2.08-2.16
Co  0.1002  0.0000  0.4559 x4  1 O 1.78
Co  0.2000  0.0000  0.9800 x4  2 O 2.01, 4 F 2.08-2.11
Co  0.2999  0.0000  0.5045 x4  1 O 1.78
Co  0.3999  0.0000  0.9606 x4  2 O 1.98-1.99, 4 F 2.08-2.15
Co  0.5000  0.0000  0.4976 x2  1 O 1.79, 1 F 2.00
O  0.1021  0.0000  0.1782 x4  2 Co 1.78-1.99
O  0.2978  0.0000  0.7821 x4  2 Co 1.78-1.99
O  0.5000  0.0000  0.7764 x2  3 Co 1.79-1.98
F  0.0000  0.1946  0.4805 x4  3 Co 2.08
F  0.0984  0.0000  0.7689 x4  3 Co 2.01-2.16
F  0.2000  0.1942  0.4802 x8  3 Co 2.07-2.08
F  0.3017  0.0000  0.1913 x4  3 Co 2.01-2.15
F  0.3998  0.1947  0.4782 x8  3 Co 2.08
F  0.5000  0.0000  0.1864 x2  3 Co 2.00-2.15

- E_form: -1.96 eV per atom

=====

The following is a PBE with a Hubbard U calculation of a relaxed Ni5Te4Br2O12 crystal, from the Materials Project database.

Cell: 10.5715 10.5715 16.4582 Å, 123.63 123.63 29.10°
Fractional coordinates of all 46 atoms:
Ni 0.1300 0.6977 0.5289
Ni 0.2080 0.7723 0.3778
Ni 0.2277 0.7920 0.1222
Ni 0.2470 0.7530 0.7500
Ni 0.3023 0.8700 0.9711
Ni 0.6977 0.1300 0.0289
Ni 0.7530 0.2470 0.2500
Ni 0.7723 0.2080 0.8778
Ni 0.7920 0.2277 0.6222
Ni 0.8700 0.3023 0.4711
Te 0.1403 0.5728 0.1200
Te 0.1949 0.5615 0.8638
Te 0.4272 0.8597 0.3800
Te 0.4385 0.8051 0.6362
Te 0.5615 0.1949 0.3638
Te 0.5728 0.1403 0.6200
Te 0.8051 0.4385 0.1362
Te 0.8597 0.4272 0.8800
Br 0.0669 0.4585 0.4015
Br 0.4585 0.0669 0.9015
Br 0.5415 0.9331 0.0985
Br 0.9331 0.5415 0.5985
O 0.0529 0.7638 0.9823
O 0.0695 0.0801 0.8546
O 0.0801 0.0695 0.3546
O 0.1270 0.7941 0.8565
O 0.2059 0.8730 0.6435
O 0.2233 0.5515 0.2493
O 0.2362 0.9471 0.5177
O 0.3099 0.5510 0.4301
O 0.4339 0.4408 0.6307
O 0.4408 0.4339 0.1307
O 0.4485 0.7767 0.2507
O 0.4490 0.6901 0.0699
O 0.5510 0.3099 0.9301
O 0.5515 0.2233 0.7493
O 0.5592 0.5661 0.8693
O 0.5661 0.5592 0.3693
O 0.6901 0.4490 0.5699
O 0.7638 0.0529 0.4823
O 0.7767 0.4485 0.7507
O 0.7941 0.1270 0.3565
O 0.8730 0.2059 0.1435
O 0.9199 0.9305 0.6454
O 0.9305 0.9199 0.1454
O 0.9471 0.2362 0.0177

- raw total energy (eV per formula unit) = -112.8
- total moment (μB/f.u.) = 10.00
- calculated formation energy (eV per atom) = -1.288



The following is a PBE with a Hubbard U calculation of a relaxed Sr2VBrO4 crystal, from the Materials Project database.

Cell: 6.6872 7.6170 11.8114 Å, 90.00 90.00 90.00°
Fractional coordinates of all 32 atoms:
Sr 0.1220 0.0306 0.2500
Sr 0.1220 0.4694 0.7500
Sr 0.3750 0.7500 0.0000
Sr 0.3750 0.7500 0.5000
Sr 0.6250 0.2500 0.0000
Sr 0.6250 0.2500 0.5000
Sr 0.8780 0.5306 0.2500
Sr 0.8780 0.9694 0.7500
V 0.1249 0.2500 0.0000
V 0.1249 0.2500 0.5000
V 0.8751 0.7500 0.0000
V 0.8751 0.7500 0.5000
Br 0.4721 0.1764 0.7500
********


Backgrounds from:
Castleberry Arts
Sneugle's Tubes


"1-2-3, 4-5-6." Petra counted and the ensemble started playing. 
Their journeyman teach Jullyo kept an eye and an ear out but he had to admit that the group was starting to sound and look good. The 5 youngsters were completely different and he was certain that them becoming friends was certainly due to the mandatory assignments. At first Jullyo hadn't been convinced that it was a good thing to force youngsters together, but in hindsight it did make for some interesting results. 
Jullyo's eye took in the experimental but shy Winny. She was the youngest of the group but truly talented. Normally she would be overpowered by the worldly Petra who played percussion and the confident base player Ronny. Jullyo had been worried those two leader-type youths might war with each other but that hadn't happened. Maybe because of the other two members in the group. Lester and Lyra hailed from less than traditional homes. Where Lester was a worry-wart, Lyra was scatter-brained. The two were almost complete opposites but they both seem to honestly like Winny and in turn, the two stronger personalities in the group had confirmed to the majority. 
Even with the relatively harmonious group structure, Jullyo had expected some problems to arise. But either luck had smiled on them or the random pairings weren't so random. Sometimes Jullyo suspected the latter. Maybe one of the masters had a hand in forming the groups by some mysterious design. Whatever the case may be, Jullyo saw this ensemble going far. They had a good grasp of what drew people to listen and they had the charisma to swap opinions in their favour. 
"Wait." Lester called.
The others complied though not all as swift. When everyone had stopped playing, Lester continued:
"I'm not certain about the bindings in my part. Aren't they different from the ones in the base?"
"Didn't that sound cool?" Ronny asked.
"And how should I play to match that?" Petra asked, "Do I follow the base?"
"If you can manage it, you could bind the 3rd and 4th." Winny proposed.
Petra whistled but then smiled.
"That would be a challenge."
"Too much of this might confuse the listeners." Lyra warned. 
She was playing chords and figured she could either emphasize the 1st and 4th or start playing triplets in the measure. Challenging and fun as that could be, if done wrong it would end up a complete fuzzy failure. 
"The differences are only meant to go on for a 8 measures, after which all parts will play the same but will alternate between the different ways of playing." Winke explained.
"Wouldn't it be better to let people hear the different parts first before we mesh them up?" Lyra asked, "That way they'll know what's going on."
"You might have a point." 
The five students discussed the possibilities and finally found a common ground where they would gradually implement different styles of playing, merging them then adding in a new motif until finally they would play every possible way, altering, sometimes having one motif pop up to drown out the others until the piece would culminate into a grand finale that would leave the audience satisfied and wanting more. Jullyo was impressed. Even if they still had a couple of weeks left to fine-tune it, he knew they were going to succeed early. 

A couple of days later, the five students were busy practicing. The piece they'd composed together around an old folk melody was starting to really come together. 
Ronny let the deep notes of the baseline vibrate through his body. His green eyes shone and his red hair was gelled to stand in short peaks. There was something magic about how the deep notes worked. Even among the loudest melodies and biggest chaos, they could be felt. And that was how he aspired himself to be. Even if maybe not everyone would know him personally, Ronny wanted his legacy to remain. A small part of him wanted his mother to realise it was him when she ever heard his music. But would she even remember the son she'd left behind? At the start of their mandatory group session his distrust of women had caused some problems with Lester who had been raised by not one but two mothers. Ronny had quickly realised jealousy might have swayed his opinion down. He might be missing a mother, but he did have a wonderful father who had done his best to raise him and was giving him the freedom to study music.
Lester meanwhile was focusing on his playing. His violin was the loudest melody instrument and the one that most carried the tune. He very much wanted his playing to be good. He knew he shouldn't worry so but he just couldn't help it. His entire life he'd been to the point of neurotic. Even now he stll carried a bunch of stuff with him just in case. His mothers had joked that he had become like that because they'd left him with his grandmother who was the most friendly but nosy person either of them knew. And maybe that was true. Lester only had good memories of his grandmother. His playing softened without conscious effort and the melody became more joyous as he relived the memories of his childhood.
Winny noticed the change and effortlessly adjusted her own counterpoint notes and thrills to match Lester's playing. Though the song was meant to be lively the current mood was still playful and she didn't want to stop the song to point out that the notes needed to be shorter. She was the youngest student in this group and one of the youngest in the hall. She'd known early that she wanted to play music and she felt a bit uncertain among all the people who were older than her. Especially in this group as they so clearly listened to her ideas. Winny vowed to give the best performance she could give when the time came for them to present their piece. Her brown ponytail bounced in time with the music as she gave her mind over to the rhythm. 
Petra banged on the drums, occasionally slipping in an extra beat when she felt comfortably that she could pull it off. Though percussion was often seen as something less than the melody instruments, just a simple beat could lift a piece to greater heights. But Petra wanted more. She just knew that drums, bells and basically anything that she could hit, could star. At least that was how it'd always seemed when her extended family gathered. Rhythm came naturally to her family and as a young child she'd loved to watch the adults talk, observing how they tapped, snapped and did all sort of little things that made sounds. All those converging rhythms had been so soothing that she'd never thought of playing something else. Here in the hall it'd been a fight to convince people of the wonder of percussion. She'd nearly been punished for refusing to take up a melody instrument but the headmistress had intervened and had indulged Petra's whims. She had been given additional work though. 
Lyra beat her chords. Her long fingers dancing across the frets as she switched between a bunch of different positions. She loved the stringed instruments for the freedom they possessed as being both a solo and accompaniment instrument. At some times she could sit back and listen to the song that was forming. At other times she'd need to scramble to keep up. This song was definitely belonging more in that latter category, but having a challenge was fun. Lyra wasn't superstitious but she was getting slightly nervous and was seriously considering getting some crystals from her parents' shops just in case. One day she'd probably laugh about it, but that day would probably only come after the show. 

Their rehearsal was cut short as someone knocked on the door. Head Mistress Amasia entered and the tension went up. No doubt all the students were wondering if someone had broken a rule. Jullyo got up to greet his boss and he could tell that the head mistress was in a good mood. 
"Welcome, are you here to get a sneak preview?" he asked, smiling with his natural charm.
"That is an extra perk." Amasia gracefully answered, "But I'm here on official business. As you all should know, our Hall works closely with local and not so local Weyrs. Several clutches are looking for candidates and I'm going around to ask people if they want to attempt to bond a dragon. As you know this will not jeopardise your places here. You're free to impress, train and later return to finish your studies while keeping up with any duties you have acquired."
Everyone knew that a lot of the Remyndal students bonded dragons. In fact it was a running joke that was why so many of the people graduating were older than in other places. Most students were quietly hoping to be searched to stand. But of course, not all students wanted that. So when the opportunity arose, one of the teachers would offer the possibility and the student could accept or refuse. Although the teachers clearly knew who to ask since no-one seemed to refuse. At least no-one had in the recent past. 
After the five students had given their consent, Jullyo escorted the head mistress out.
"I'm happy for them but I'm a bit conflicted. they would have a great future as harpers too."
"Which is why I'm tasking you to keep an eye on them and to make certain they don't forget about their future here. I feel it is time you spread your wings too Jullyo. You're definitely meant for more than just being a teacher in some backwater hall."
Jullyo smiled, no way did the head mistress think of her operation here as a "backwater hall", but harpers were renowned for being crafty. And apparently he too had needed a push.
"I'll make certain that they return to graduate." he promised. 

Lantessama Isle